Chapter 326: Stop It

Perseus POV

I'm currently learning of every location of the base that Cain has in this state it has changed its name to H.A.P.P.Y. Solutions, which stands for Health Advancements and Positive Pharmaceutical Yielding.

I asked Dawn what does the yielding part of it meant and the term yielding apparently refers to the production, generation, or creation of something. In this case, it suggests that the pharmaceutical company is producing or generating positive outcomes, advancements, or solutions related to health and well-being.

The use of yielding in this implies that the company's efforts are resulting in beneficial and positive contributions to the field of healthcare and pharmaceuticals. Apparently, the corporation did come out with a lot of revolutionary medicine and all that, but it came at the cost of secret human experimentation. They do have a legit legal lab that produces results, but experimentation on people like me produced better and more advanced results.


So I decided to go around with just Buddy, Dawn has prepared me proper phones that can't be traced, credit cards, and a lot of things ahead of time, so I can now go around normally.

However, Buddy will have to go around under the disguise of a cat, which he didn't seem to mind, I got proper fake IDs and everything. I also had to make my hair black since the whole completely same look would be too suspicious.

"Do you remember how to drive?" Dawn asked

"Uh, a bit, I got a license before, but I didn't own a car."

"I'll drive you since everyone is taking their time to learn, Leilah can teach them or go shop nearby when they want to. Leilah's pretty knowledgeable about this world."

Calculated crystals, as found in the file:
'''
An optimized crystal structure of NaDyCuTe3. Source: OQMD, functional GGA-PBE.

abc: 8.764 4.183 10.198
angles: 90.00 106.86 90.00
Atoms (fractional coordinates):
Cu 0.419 0.750 0.408
Cu 0.581 0.250 0.592
Dy 0.177 0.250 0.157
Dy 0.823 0.750 0.843
Na 0.710 0.250 0.270
Na 0.290 0.750 0.730
Te 0.424 0.750 0.150
Te 0.922 0.750 0.158
Te 0.269 0.250 0.473
Te 0.731 0.750 0.527
Te 0.078 0.250 0.842
Te 0.576 0.250 0.850

Calculated values
As for the space group: P2_1/m, No. 11. The value obtained for the total DFT energy (no corrections) is -4.0151 eV per atom.

----------

This record from Alexandria via LeMat-Bulk describes La2PuOs2 after structural relaxation. The functional is PBE-GGA.

```
La2PuOs2
1.0
6.0746 0.0000 0.0000
-3.0373 5.0321 0.2476
0.0000 -1.9640 7.9195
La Pu Os
4 2 4
direct
0.7790 0.2999 0.6503
0.2210 0.7001 0.3497
0.4792 0.7001 0.8497
0.5208 0.2999 0.1503
0.1181 0.0000 0.7500
0.8819 0.0000 0.2500
0.7285 0.7265 0.4912
0.0020 0.2735 0.0088
0.2715 0.2735 0.5088
0.9980 0.7265 0.9912
```

Computed properties:
- magnetic moment (μB/f.u.) = 4.8
- formation energy from the elements (eV per atom) = -0.125



This record from Alexandria via LeMat-Bulk describes Pm12YCo6 after structural relaxation. The functional is PBE-GGA.

```
Pm12YCo6
1.0
8.1859 0.0000 -2.8941
-4.0929 7.0892 -2.8941
0.0000 0.0000 8.6824
Co Y Pm
6 1 12
direct
0.3885 0.5000 0.8885
0.8885 0.3885 0.5000
0.6115 0.5000 0.1115
0.1115 0.6115 0.5000
0.5000 0.1115 0.6115
0.5000 0.8885 0.3885
0.0000 0.0000 0.0000
0.8052 0.6899 0.4951
0.8847 0.1948 0.6899
0.6899 0.8847 0.1948
0.6899 0.4951 0.8052
0.8052 0.3101 0.1153
0.1948 0.3101 0.5049
0.3101 0.1153 0.8052
0.1153 0.8052 0.3101
0.4951 0.8052 0.6899
0.3101 0.5049 0.1948
0.1948 0.6899 0.8847
0.5049 0.1948 0.3101
```

Computed properties:
- magnetic moment (μB/f.u.) = 0.0
- formation energy from the elements (eV per atom) = -0.062



This record from Alexandria via LeMat-Bulk describes CaPrGdEr after structural relaxation. The functional is PBE-GGA.

```
CaPrGdEr
1.0
-4.5585 -3.2013 -1.6386
0.6176 -4.0278 -4.1364
-0.2352 -5.6357 1.3774
Pr Gd Ca Er
1 1 1 1
direct
0.5000 0.5000 0.5000
0.0000 0.0000 0.0000
0.2500 0.2500 0.2500
0.7500 0.7500 0.7500
```

Computed properties:
- magnetic moment (μB/f.u.) = 7.5
- formation energy from the elements (eV per atom) = 0.118



This record from Alexandria via LeMat-Bulk describes MnSi2Sb after structural relaxation. The functional is PBE-GGA.

```
MnSi2Sb
1.0
4.3511 0.0000 0.0000
0.0000 3.9382 0.0048
0.0000 0.4736 4.4184
Si Sb Mn
2 1 1
direct
0.0000 0.0168 0.0923
0.0000 0.4832 0.4077
0.5000 0.7500 0.7500
0.5000 0.2500 0.2500
```

Computed properties:
- magnetic moment (μB/f.u.) = 3.1
- uncorrected formation energy (eV/f.u.) = 1.304



This record from Alexandria via LeMat-Bulk describes ScTi4Ir5 after structural relaxation. The functional is PBE-GGA.

```
ScTi4Ir5
1.0
2.9614 0.0000 0.0000
0.0000 2.9614 0.0000
0.0000 0.0000 17.6737
Ir Ti Sc
5 4 1
direct
0.5000 0.5000 0.8879
0.5000 0.5000 0.5000
'''
So much for the calculated crystals:

"You know what, sure, one of their offices is in a nearby strip mall anyway, I can shop for stuff there."


"A full option SUV?! Woah, you've been living well."

"Well, I used to drive a truck to fit in, but I prefer this better," Dawn replied as we got in the car.

She started the car and then took off.

"How does it feel to have a literal goddess drive for you?" She asked

"You offered just so you can have some alone time with me, didn't you?"

"Buddy's here." she pointed out

"You get what I mean, look, he's just napping in the backseat."

"He did join us in learning about this world throughout the night, he really seems to like you, he told me a lot of good things."

"Well, what do you want to talk about?"

"Your therapist...she might be in danger."


"Cain is eliminating loose ends, Ms. Perez knows a lot of things about his organization, and he doesn't want any interruption for the next phase of his plans. You did rattle him a bit, so he is considering on delaying it."

"Does this mean that Briana is going to be a part of this elimination as well?"

"Of course, he isn't as heartless to go for their families, but it will still all go away if he becomes the next God."

"That's bad, huh...I'll scout things here today since we don't want Cain to know that their office got destroyed the moment you got here."

"Hmm? You're being cautious?" she questioned.

"Is that surprising?"

"Well yes, you've literally had sex with my daughter last night in my home on the first night you're here."

"You knew?"

"Duh, I knew that you did the moment I sensed a soundproof barrier. Lilith's expression also helped."


We arrived at the strip mall and I can see that a lot of the stores where I used to visit closed down, at least there was still a tech store where I bought several video game consoles.

However, there ain't a lot of physical game copies cuz a lot of the companies stopped selling physical copies for some reason, I also bought a lot of books from a nearby store, probably the most money the store made ever as I bought a lot of recipe books and story books.

Afterward, I went to the H.A.P.P.Y office and talked a bit with their staff, even using my powers to try and get some detailed info from them, all of the ones in this office are genuine people who actually worked for a genuine cause as they actually believe in the company/corporation.

And despite the world being more progressive and all that, the term 'supers' is now no longer commonly used, people like me are now just referred to as straight-up 'mutants'. People's opinions on mutants haven't changed though, a lot truly believe that we bring more harm than good.

The employee did say that their company's past is terrible, but they truly believe in its change and its now new board of directors. The change in their name signifies that.

I posed myself as a curious high school graduate who wants to learn more about mutants, and they were very helpful about it. Updated public info on our genetic makeup, the potential harm that can come from us, and possible benefits from having us around.

There are now countries that ban mutants from living there and will have to be shipped to other countries if they were found. At least there are now countries that are more open about accepting mutants as fellow human beings. So it isn't all that bad, it's just that there's no conclusive research that points out whether there's more harm than good.

But it doesn't change the fact that I have to destroy this office later, I'll spare the workers though.


"Learned anything new?" Dawn asked once I got back in the car.

I can see Buddy now sleeping on her lap while she was petting him.

"Yeah, we went from supers to mutants, the world is real progressive."

"At least you got more countries who are open to you guys now, we're living in one." she replied

"There's a senator trying to get all mutants executed." I pointed out.

"We may have a few mishaps every now and then."

"Cain also stations his headquarters here, so...there's a reason why it's open to accepting so-called mutants."

"Well, that's why we're here to stop it."